What happened to Instagram activity? |

In 2018, an update to the Instagram ranking algorithms took place. This led to large-scale changes in the methods for subscribers to promote their profiles.
What happened to Instagram activity?
Briefly: if before the update building posts in the users' feed was carried out due to the number of followers and regular posting of new posts, then presently it's possible to get into the top feeds only if there is high involvement (likes, viewes, commentsm etc).
The calculation is made according to a simple formula: the number of followers is divided into activity (actions performed with the post). Accordingly, the high activity of followers, but not their number, increase the blogger's chances to get into the top feeds and the "Recommendations" section.
Due to the algorithm changes, many users who were used to wind up the number of followers using "dead souls", started to get rid of useless accounts massively, since interactive users only reduse coverage. "Dead" are considered business accounts which give necessary number of followers, using mass follow, as well as bots provided by special services that are involved in cheating.
Signs of a bot and mass follower:
- They have a high statistical growth of followers, but with disproportionately law activity.
- Either they don't view other people's publications in principle, or they leave the same advertising spam.
Thus, in order to improve activity, you should periodically ban and remove this kind of load. But doing it manually is not always easy.
Instagram bot criteria
Unfortunately, there are still no ideal criteria for determining bots in the whole mass of followers. It's the fact that a real person may be hiding behind an account without an avatar-photo and publications, that prevents the writing of a really effective script to combat cheating.
Nevertheless, there are two criteria that don't guarantee a 100% fake account, but at least allow to pay attention on it:
- Lack of interest in other people's publications. Mass followers use Instagram profile only for promotion purposes; they don't put likes or leave comments.
- Fake profiles often have an incredible ammount of subscriptions. In real person's account the number of subscriptions usually doesn't exceed 600-800 accounts, unless it's a robot sitting and watching other people's posts.
Of course, removing bots will not lead to a sharp change in account positions,since the main reason for poor promotion is not in them, but in the absence of interesting and catchy contect. If the account has never been featured in the section of "Recomendations" or in the leaders of a user's feed, then, most likely, you need to change the content itself, as well as to be more active in interaction with your audience.
Problems encountered while cleaning the profile from bots
The leadership of Instagram has not found out yet the information why the administration can reduce its reach, as this will inevitably lead to the emergence of new ways of unfair promotion. Therefore, most of the judgements about the operation of the resource algorithm are just guesses.
When information about the negative impact of fake profiles on reach appeared, many users started deleting all empty accounts manually. This didn't lead to better coverage, but this eliminated a large number of very real followers.
The algorithm of Instagram regards such a sharp drop in the percentage of followers as a sign of something negative and lowers the profile rating. As a result, in addition to losing the audience, the profile loses all the opportunities for further promotion. More often it's possible to correct the situation only by creating a new account.
Opposite examples also exist: the profile activity increases significantly, the percentage of live followers, likes and comments increases dramatically. However, with new posts the profile still cannot rise its ranking. The possible reason is that the administration itself lowered the user rating. And, unfortunately, tech support will most likely not be albe to explain the exact reason.
Getting rid of bots using Spam Guard service
The well-known Zen-promo service for cheating likes and followers also allows you to find mass-follower and "dead" profiles among your followers quickly and with high persentage. For doing this, use the special online app Spam Guard.
# Records of crystals, as found in the file
=====
[1]
Material: Tc3Os
Method: DFT, PBE
State: optimized geometry

Lattice parameters (Å, degrees): 2.7644 2.7644 8.7681 90.00 90.00 120.00
Last column: nearest neighbours and their distance in Å.
Element x y z (fractional)
1 Tc 0.6667 0.3333 0.5000  12 Tc 2.72-2.76
2 Tc 0.3333 0.6667 0.2490  3 Os 2.70, 9 Tc 2.72-2.76
3 Tc 0.3333 0.6667 0.7510  3 Os 2.70, 9 Tc 2.72-2.76
4 Os 0.6667 0.3333 0.0000  6 Tc 2.70, 6 Os 2.76

Calculated values
Its space group is P-6m2 (187). As for the energy above the most stable polymorph in this dataset: 0.019 eV/atom.

[2]
Material: BaReO3
Method: DFT, PBE
State: optimized geometry

Lattice parameters (Å, degrees): 4.0647 4.0647 4.0647 90.00 90.00 90.00
Last column: nearest neighbours and their distance in Å.
Element x y z (fractional)
1 Ba 0.0000 0.0000 0.0000  12 O 2.87
2 Re 0.5000 0.5000 0.5000  6 O 2.03
3 O 0.5000 0.5000 0.0000  2 Re 2.03
4 O 0.5000 0.0000 0.5000  2 Re 2.03
5 O 0.0000 0.5000 0.5000  2 Re 2.03

Calculated values
Its space group is Pm-3m (221).

[3]
Material: Te4Mo3WSe2S2
Method: DFT, PBE
State: optimized geometry

Lattice parameters (Å, degrees): 3.3989 3.3989 40.0160 90.00 90.00 120.00
Last column: nearest neighbours and their distance in Å.
Element x y z (fractional)
1 Te 0.0000 0.0000 0.7055  3 Mo 2.71
2 Te 0.3333 0.6667 0.4219  3 Mo 2.72
3 Te 0.3333 0.6667 0.5157  3 Mo 2.71
4 Te 0.0000 0.0000 0.6117  3 Mo 2.72
5 Mo 0.0000 0.0000 0.0940  6 S 2.47
6 Mo 0.0000 0.0000 0.4688  6 Te 2.71-2.72
7 Mo 0.3333 0.6667 0.6586  6 Te 2.71-2.72
8 W 0.3333 0.6667 0.2814  6 Se 2.57
9 Se 0.0000 0.0000 0.3228  3 W 2.57
10 Se 0.0000 0.0000 0.2401  3 W 2.57
11 S 0.3333 0.6667 0.0565  3 Mo 2.47
12 S 0.3333 0.6667 0.1316  3 Mo 2.47

Calculated values
Its space group is P3m1 (156). As for the energy above the most stable polymorph in this dataset: 0.016 eV/atom.

[4]
Material: ZnN
Method: DFT, PBE
State: optimized geometry

Lattice parameters (Å, degrees): 2.7085 2.7085 2.7085 90.00 90.00 90.00
Last column: nearest neighbours and their distance in Å.
Element x y z (fractional)
1 Zn 0.0000 0.0000 0.0000  8 N 2.35
2 N 0.5000 0.5000 0.5000  8 Zn 2.35

Calculated values
Its space group is Pm-3m (221). As for the energy above the most stable polymorph in this dataset: 0.552 eV/atom.

[5]
Material: SmCuGe
Method: DFT, PBE
State: optimized geometry

Lattice parameters (Å, degrees): 4.2697 4.2697 3.8616 90.00 90.00 120.00
Last column: nearest neighbours and their distance in Å.
Element x y z (fractional)
1 Sm 0.3333 0.6667 0.0000  6 Cu 3.13, 6 Ge 3.13
2 Cu 0.6667 0.3333 0.5000  3 Ge 2.47
3 Ge 0.0000 0.0000 0.5000  3 Cu 2.47

Calculated values
Its space group is P-6m2 (187).

[6]
Material: RbPH2O2
Method: DFT, PBE
State: optimized geometry

Lattice parameters (Å, degrees): 6.4522 7.7203 8.2742 90.00 90.00 90.00
Last column: nearest neighbours and their distance in Å.
Element x y z (fractional)
1 Rb 0.2500 0.3611 0.1315  6 O 2.91-3.11
2 Rb 0.7500 0.6389 0.8685  6 O 2.91-3.11
3 Rb 0.7500 0.8611 0.3685  6 O 2.91-3.11
=====
A small guide for using the service:
- during the first use, you need to go through a short registration form by ebtering your email address and coming up with a password;
- after logging in, you need to choose the necessary parametres and start the analysis;
- on the results of the verification, the user gets a detailed report with the information of the number of bots, inactive followers and business accounts, found by Spam Guard.
Suspicious accounts are not blocked automatically; the user has the option to decide what to do with them.
Service advantages:
- high accuracy - despite of certain persentage of false hits, Spam Guard handles the calculation of unreliable followers better then the average account holder;
- time saving - automatic verification of the resource takes less time than a real person would need;
- access from any device - the only thing required is access to the Internet.
Conclusion: the issue of the struggle for expanding reach on Instagram today is more acute than ever. Getting rid of useless audience will lead to increasing of the profile popularity. Both advertisers and ordinary users trust people with a certain reputation and high level of interaction. Only such accounts go to the top feeds and fall into the "Recommendations".